Entries:
No. 1
Formula: C17H19BCl3NO
Source: the OMol25 dataset
Level of theory: ωB97M-V/def2-TZVPD

Cartesian coordinates (Å):
Cl  -3.078  -0.092  -3.196
B  -3.117  0.307  -1.402
Cl  -4.857  0.613  -0.774
Cl  -2.288  -1.046  -0.396
O  -2.321  1.558  -1.210
C  -2.139  2.095  -0.063
C  -1.366  3.292  0.053
C  -1.219  3.872  1.335
C  -0.477  5.035  1.490
C  0.125  5.648  0.381
C  -0.031  5.080  -0.895
C  -0.766  3.919  -1.073
H  -2.607  1.659  0.829
H  -1.708  3.372  2.170
H  -0.361  5.475  2.482
H  0.710  6.560  0.509
H  0.434  5.557  -1.758
H  -0.899  3.476  -2.061
C  -1.742  -0.756  3.271
C  -0.318  -1.234  3.014
C  0.572  -1.341  4.238
N  0.025  -1.500  1.826
C  1.365  -2.056  1.516
C  1.477  -2.278  0.036
C  1.330  -1.190  -0.823
C  1.408  -1.384  -2.204
C  1.640  -2.671  -2.718
C  1.774  -3.762  -1.846
C  1.697  -3.565  -0.465
H  -1.881  -0.553  4.333
H  -1.957  0.151  2.692
H  -2.469  -1.514  2.950
H  0.013  -1.031  5.122
H  0.927  -2.371  4.386
H  1.457  -0.697  4.133
H  2.153  -1.333  1.805
H  1.585  -3.016  2.014
H  1.121  -0.206  -0.396
H  1.283  -0.528  -2.871
H  1.709  -2.822  -3.798
H  1.937  -4.770  -2.240
H  1.793  -4.387  0.249

Properties
Kohn-Sham gap, eV: 6.623
LUMO energy, eV: -2.09
Multiplicity: 1

No. 2
Formula: C17H19BrMoN2O2S
Source: the OMol25 dataset
Level of theory: ωB97M-V/def2-TZVPD

Cartesian coordinates (Å):
Mo  -0.148  0.639  -0.398
C  0.958  3.976  -0.480
C  0.030  3.018  0.197
C  0.429  2.320  1.364
C  -0.392  1.387  1.997
C  0.054  0.643  3.218
C  -1.674  1.164  1.434
C  -2.174  1.950  0.376
C  -3.604  1.882  -0.051
C  -1.268  2.796  -0.295
H  0.824  4.964  -0.031
H  0.740  4.057  -1.543
H  1.999  3.687  -0.343
H  1.434  2.475  1.738
H  -0.216  1.230  4.099
H  1.132  0.498  3.228
H  -0.441  -0.323  3.298
H  -2.324  0.428  1.892
H  -4.098  2.776  0.343
H  -4.116  1.018  0.365
H  -3.706  1.906  -1.135
H  -1.592  3.316  -1.189
C  2.485  -4.304  0.133
C  1.179  -3.611  -0.118
C  0.018  -4.296  -0.457
C  -1.165  -3.613  -0.696
C  -1.140  -2.241  -0.588
Br  -2.697  -1.223  -0.879
N  -0.040  -1.548  -0.277
C  1.098  -2.229  -0.046
H  2.336  -5.368  0.302
H  2.982  -3.889  1.009
H  3.149  -4.188  -0.725
H  0.031  -5.376  -0.537
H  -2.076  -4.129  -0.959
H  1.968  -1.635  0.189
O  1.141  -0.982  -2.927
C  0.271  -0.224  -3.209
O  -0.385  0.543  -2.267
H  -0.118  0.003  -4.206
S  4.451  0.996  -0.781
C  2.930  0.824  -0.600
N  1.736  0.684  -0.446

Properties
Kohn-Sham gap (alpha / beta), eV: 6.470 / 7.111
LUMO energy (alpha / beta), eV: -8.71 / -8.63
Multiplicity: 3
Net charge: +2

No. 3
Formula: C17H19Cl4F5O15
Source: the OMol25 dataset
Level of theory: ωB97M-V/def2-TZVPD

Cartesian coordinates (Å):
C  24.013  4.098  2.407
C  25.310  3.632  3.093
O  26.149  3.413  1.986
C  25.386  3.171  0.883
O  25.702  2.623  -0.123
O  24.119  3.450  1.162
F  25.069  2.493  3.796
H  23.895  5.176  2.304
H  23.166  3.732  2.987
H  25.720  4.394  3.750
C  26.004  4.318  -3.807
C  27.188  3.400  -3.456
O  28.182  4.329  -3.152
C  27.942  5.461  -3.856
O  28.779  6.254  -4.157
O  26.692  5.463  -4.340
F  27.592  2.682  -4.548
H  25.472  4.660  -2.917
H  25.313  3.875  -4.517
H  26.995  2.728  -2.622
C  24.012  7.281  -1.357
C  23.682  8.683  -0.979
O  22.427  8.456  -0.320
C  22.636  7.349  0.414
O  22.038  7.026  1.383
O  23.602  6.576  -0.164
F  23.551  9.516  -2.027
H  25.045  7.060  -1.602
H  23.359  7.026  -2.197
H  24.321  9.118  -0.203
C  23.722  5.410  8.035
C  23.363  5.223  6.568
O  24.408  4.374  6.124
C  25.457  4.461  6.950
O  26.531  3.992  6.784
O  25.116  5.199  8.028
F  23.560  6.406  5.862
H  23.231  4.662  8.662
H  23.465  6.412  8.371
H  22.378  4.901  6.235
C  28.176  6.490  1.333
C  27.401  7.426  0.412
O  26.260  7.798  1.145
C  26.152  7.015  2.234
O  25.258  7.001  3.013
O  27.261  6.282  2.390
F  27.068  6.772  -0.744
H  29.059  6.994  1.721
H  28.409  5.576  0.790
H  28.008  8.283  0.122
C  19.005  4.323  4.692
Cl  20.538  4.714  3.878
Cl  18.038  5.815  4.855
H  18.406  3.665  4.075

Assignment:
Now give back the data further above without altering anything.

Reply:
No. 1
Formula: C17H19BCl3NO
Source: the OMol25 dataset
Level of theory: ωB97M-V/def2-TZVPD

Cartesian coordinates (Å):
Cl  -3.078  -0.092  -3.196
B  -3.117  0.307  -1.402
Cl  -4.857  0.613  -0.774
Cl  -2.288  -1.046  -0.396
O  -2.321  1.558  -1.210
C  -2.139  2.095  -0.063
C  -1.366  3.292  0.053
C  -1.219  3.872  1.335
C  -0.477  5.035  1.490
C  0.125  5.648  0.381
C  -0.031  5.080  -0.895
C  -0.766  3.919  -1.073
H  -2.607  1.659  0.829
H  -1.708  3.372  2.170
H  -0.361  5.475  2.482
H  0.710  6.560  0.509
H  0.434  5.557  -1.758
H  -0.899  3.476  -2.061
C  -1.742  -0.756  3.271
C  -0.318  -1.234  3.014
C  0.572  -1.341  4.238
N  0.025  -1.500  1.826
C  1.365  -2.056  1.516
C  1.477  -2.278  0.036
C  1.330  -1.190  -0.823
C  1.408  -1.384  -2.204
C  1.640  -2.671  -2.718
C  1.774  -3.762  -1.846
C  1.697  -3.565  -0.465
H  -1.881  -0.553  4.333
H  -1.957  0.151  2.692
H  -2.469  -1.514  2.950
H  0.013  -1.031  5.122
H  0.927  -2.371  4.386
H  1.457  -0.697  4.133
H  2.153  -1.333  1.805
H  1.585  -3.016  2.014
H  1.121  -0.206  -0.396
H  1.283  -0.528  -2.871
H  1.709  -2.822  -3.798
H  1.937  -4.770  -2.240
H  1.793  -4.387  0.249

Properties
Kohn-Sham gap, eV: 6.623
LUMO energy, eV: -2.09
Multiplicity: 1

No. 2
Formula: C17H19BrMoN2O2S
Source: the OMol25 dataset
Level of theory: ωB97M-V/def2-TZVPD

Cartesian coordinates (Å):
Mo  -0.148  0.639  -0.398
C  0.958  3.976  -0.480
C  0.030  3.018  0.197
C  0.429  2.320  1.364
C  -0.392  1.387  1.997
C  0.054  0.643  3.218
C  -1.674  1.164  1.434
C  -2.174  1.950  0.376
C  -3.604  1.882  -0.051
C  -1.268  2.796  -0.295
H  0.824  4.964  -0.031
H  0.740  4.057  -1.543
H  1.999  3.687  -0.343
H  1.434  2.475  1.738
H  -0.216  1.230  4.099
H  1.132  0.498  3.228
H  -0.441  -0.323  3.298
H  -2.324  0.428  1.892
H  -4.098  2.776  0.343
H  -4.116  1.018  0.365
H  -3.706  1.906  -1.135
H  -1.592  3.316  -1.189
C  2.485  -4.304  0.133
C  1.179  -3.611  -0.118
C  0.018  -4.296  -0.457
C  -1.165  -3.613  -0.696
C  -1.140  -2.241  -0.588
Br  -2.697  -1.223  -0.879
N  -0.040  -1.548  -0.277
C  1.098  -2.229  -0.046
H  2.336  -5.368  0.302
H  2.982  -3.889  1.009
H  3.149  -4.188  -0.725
H  0.031  -5.376  -0.537
H  -2.076  -4.129  -0.959
H  1.968  -1.635  0.189
O  1.141  -0.982  -2.927
C  0.271  -0.224  -3.209
O  -0.385  0.543  -2.267
H  -0.118  0.003  -4.206
S  4.451  0.996  -0.781
C  2.930  0.824  -0.600
N  1.736  0.684  -0.446

Properties
Kohn-Sham gap (alpha / beta), eV: 6.470 / 7.111
LUMO energy (alpha / beta), eV: -8.71 / -8.63
Multiplicity: 3
Net charge: +2

No. 3
Formula: C17H19Cl4F5O15
Source: the OMol25 dataset
Level of theory: ωB97M-V/def2-TZVPD

Cartesian coordinates (Å):
C  24.013  4.098  2.407
C  25.310  3.632  3.093
O  26.149  3.413  1.986
C  25.386  3.171  0.883
O  25.702  2.623  -0.123
O  24.119  3.450  1.162
F  25.069  2.493  3.796
H  23.895  5.176  2.304
H  23.166  3.732  2.987
H  25.720  4.394  3.750
C  26.004  4.318  -3.807
C  27.188  3.400  -3.456
O  28.182  4.329  -3.152
C  27.942  5.461  -3.856
O  28.779  6.254  -4.157
O  26.692  5.463  -4.340
F  27.592  2.682  -4.548
H  25.472  4.660  -2.917
H  25.313  3.875  -4.517
H  26.995  2.728  -2.622
C  24.012  7.281  -1.357
C  23.682  8.683  -0.979
O  22.427  8.456  -0.320
C  22.636  7.349  0.414
O  22.038  7.026  1.383
O  23.602  6.576  -0.164
F  23.551  9.516  -2.027
H  25.045  7.060  -1.602
H  23.359  7.026  -2.197
H  24.321  9.118  -0.203
C  23.722  5.410  8.035
C  23.363  5.223  6.568
O  24.408  4.374  6.124
C  25.457  4.461  6.950
O  26.531  3.992  6.784
O  25.116  5.199  8.028
F  23.560  6.406  5.862
H  23.231  4.662  8.662
H  23.465  6.412  8.371
H  22.378  4.901  6.235
C  28.176  6.490  1.333
C  27.401  7.426  0.412
O  26.260  7.798  1.145
C  26.152  7.015  2.234
O  25.258  7.001  3.013
O  27.261  6.282  2.390
F  27.068  6.772  -0.744
H  29.059  6.994  1.721
H  28.409  5.576  0.790
H  28.008  8.283  0.122
C  19.005  4.323  4.692
Cl  20.538  4.714  3.878
Cl  18.038  5.815  4.855
H  18.406  3.665  4.075